Activity:
Reproduce the whole of the rows below verbatim.

Listing:
+++
Entry 1:
Below is Rb2Te2O2F7 after structural relaxation, with properties calculated at the PBE-GGA level.

POSCAR file:
```
Rb2Te2O2F7
1.0
13.027 0.000 0.000
0.000 6.015 0.000
0.000 1.030 12.513
O F Te Rb
8 28 8 8
Direct
0.395 0.885 0.987
0.132 0.566 0.311
0.133 0.387 0.488
0.632 0.434 0.689
0.898 0.942 0.190
0.895 0.115 0.013
0.633 0.613 0.512
0.398 0.058 0.810
0.742 0.759 0.083
0.242 0.241 0.917
0.517 0.524 0.339
0.013 0.017 0.842
0.752 0.926 0.419
0.408 0.492 0.825
0.908 0.508 0.175
0.294 0.721 0.417
0.979 0.724 0.431
0.227 0.542 0.658
0.057 0.792 0.072
0.531 0.948 0.413
0.794 0.279 0.583
0.282 0.566 0.083
0.506 0.557 0.080
0.513 0.983 0.158
0.006 0.443 0.920
0.630 0.009 0.674
0.017 0.476 0.661
0.804 0.970 0.842
0.557 0.208 0.928
0.130 0.991 0.326
0.782 0.434 0.917
0.727 0.458 0.342
0.304 0.030 0.158
0.252 0.074 0.581
0.479 0.276 0.569
0.031 0.052 0.587
0.397 0.767 0.133
0.136 0.729 0.439
0.637 0.730 0.365
0.900 0.772 0.062
0.636 0.271 0.561
0.897 0.233 0.867
0.137 0.270 0.635
0.400 0.228 0.938
0.689 0.264 0.126
0.610 0.745 0.883
0.110 0.255 0.117
0.346 0.230 0.375
0.924 0.248 0.384
0.846 0.770 0.625
0.189 0.736 0.874
0.424 0.752 0.616
```

Summary:
The calculation puts the energy of formation at -2382 meV/atom. Its space group is P2_1, No. 4.

---

Entry 2:
Below is Al12Si12Ag16S5O48 after structural relaxation, with properties calculated at the PBE-GGA level.

POSCAR file:
```
Al12Si12Ag16S5O48
1.0
-8.740 1.663 -1.420
0.595 -3.707 -8.096
-4.201 -16.019 7.026
O Ag Si Al S
48 16 12 12 5
Direct
0.848 0.861 0.215
0.646 0.933 0.819
0.862 0.567 0.072
0.439 0.852 0.430
0.065 0.363 0.825
0.349 0.061 0.317
0.648 0.063 0.682
0.144 0.863 0.278
0.149 0.140 0.215
0.066 0.636 0.174
0.862 0.432 0.927
0.360 0.351 0.469
0.135 0.432 0.072
0.361 0.648 0.032
0.135 0.567 0.927
0.149 0.861 0.784
0.849 0.139 0.784
0.353 0.933 0.180
0.862 0.563 0.574
0.853 0.864 0.720
0.349 0.938 0.682
0.434 0.148 0.068
0.649 0.939 0.317
0.060 0.360 0.323
0.645 0.068 0.180
0.136 0.562 0.425
0.144 0.136 0.720
0.938 0.641 0.323
0.136 0.437 0.574
0.060 0.640 0.676
0.434 0.852 0.931
0.637 0.352 0.032
0.362 0.353 0.967
0.638 0.649 0.469
0.352 0.067 0.819
0.565 0.149 0.931
0.640 0.349 0.530
0.564 0.850 0.068
0.932 0.637 0.825
0.558 0.852 0.569
0.854 0.137 0.279
0.358 0.651 0.530
0.558 0.148 0.430
0.439 0.148 0.569
0.931 0.363 0.174
0.862 0.438 0.425
0.937 0.360 0.676
0.635 0.646 0.967
0.644 0.354 0.168
0.340 0.659 0.676
0.660 0.660 0.323
0.178 0.179 0.593
0.840 0.843 0.073
0.349 0.352 0.831
0.157 0.846 0.924
0.648 0.648 0.830
0.817 0.181 0.405
0.351 0.646 0.168
0.843 0.153 0.924
0.180 0.819 0.405
0.338 0.340 0.323
0.159 0.155 0.074
0.819 0.821 0.593
0.658 0.342 0.676
0.999 0.500 0.373
0.499 0.251 0.500
0.499 0.250 0.999
0.250 0.000 0.752
0.748 0.000 0.247
0.999 0.500 0.626
0.999 0.500 0.123
0.499 0.749 0.000
0.498 0.749 0.500
0.250 0.000 0.247
0.999 0.500 0.876
0.748 0.000 0.752
0.499 0.000 0.875
0.749 0.499 0.999
0.997 0.251 0.753
0.499 0.000 0.627
0.499 0.000 0.124
0.499 0.000 0.372
0.997 0.749 0.246
0.000 0.749 0.753
0.249 0.501 0.500
0.000 0.251 0.246
0.248 0.500 0.000
0.749 0.500 0.500
0.000 0.000 0.000
0.108 0.002 0.498
0.890 0.998 0.497
0.498 0.500 0.254
0.498 0.500 0.748
```

Summary:
The calculation puts the energy of formation at -2464 meV/atom. Its space group is P1, No. 1. The offset from the most stable computed form comes out at 0 meV/atom.

---

Entry 3:
Below is Ba6MgNb2IrCl2O12 after structural relaxation, with properties calculated at the PBE-GGA level.

POSCAR file:
```
Ba6MgNb2IrCl2O12
1.0
-4.220 4.460 -0.260
0.402 -3.867 4.760
8.974 11.147 6.145
Mg Ba O Cl Ir Nb
1 6 12 2 1 2
Direct
0.466 0.534 0.162
0.276 0.724 0.032
0.633 0.367 0.916
0.695 0.305 0.642
0.717 0.283 0.238
0.339 0.661 0.785
0.335 0.665 0.371
0.138 0.862 0.900
0.318 0.184 0.754
0.691 0.789 0.253
0.795 0.686 0.079
0.849 0.151 0.104
0.831 0.169 0.770
0.314 0.205 0.079
0.145 0.316 0.919
0.817 0.682 0.754
0.211 0.309 0.253
0.684 0.855 0.919
0.192 0.808 0.220
0.697 0.303 0.437
+++

Worked solution:
Entry 1:
Below is Rb2Te2O2F7 after structural relaxation, with properties calculated at the PBE-GGA level.

POSCAR file:
```
Rb2Te2O2F7
1.0
13.027 0.000 0.000
0.000 6.015 0.000
0.000 1.030 12.513
O F Te Rb
8 28 8 8
Direct
0.395 0.885 0.987
0.132 0.566 0.311
0.133 0.387 0.488
0.632 0.434 0.689
0.898 0.942 0.190
0.895 0.115 0.013
0.633 0.613 0.512
0.398 0.058 0.810
0.742 0.759 0.083
0.242 0.241 0.917
0.517 0.524 0.339
0.013 0.017 0.842
0.752 0.926 0.419
0.408 0.492 0.825
0.908 0.508 0.175
0.294 0.721 0.417
0.979 0.724 0.431
0.227 0.542 0.658
0.057 0.792 0.072
0.531 0.948 0.413
0.794 0.279 0.583
0.282 0.566 0.083
0.506 0.557 0.080
0.513 0.983 0.158
0.006 0.443 0.920
0.630 0.009 0.674
0.017 0.476 0.661
0.804 0.970 0.842
0.557 0.208 0.928
0.130 0.991 0.326
0.782 0.434 0.917
0.727 0.458 0.342
0.304 0.030 0.158
0.252 0.074 0.581
0.479 0.276 0.569
0.031 0.052 0.587
0.397 0.767 0.133
0.136 0.729 0.439
0.637 0.730 0.365
0.900 0.772 0.062
0.636 0.271 0.561
0.897 0.233 0.867
0.137 0.270 0.635
0.400 0.228 0.938
0.689 0.264 0.126
0.610 0.745 0.883
0.110 0.255 0.117
0.346 0.230 0.375
0.924 0.248 0.384
0.846 0.770 0.625
0.189 0.736 0.874
0.424 0.752 0.616
```

Summary:
The calculation puts the energy of formation at -2382 meV/atom. Its space group is P2_1, No. 4.

---

Entry 2:
Below is Al12Si12Ag16S5O48 after structural relaxation, with properties calculated at the PBE-GGA level.

POSCAR file:
```
Al12Si12Ag16S5O48
1.0
-8.740 1.663 -1.420
0.595 -3.707 -8.096
-4.201 -16.019 7.026
O Ag Si Al S
48 16 12 12 5
Direct
0.848 0.861 0.215
0.646 0.933 0.819
0.862 0.567 0.072
0.439 0.852 0.430
0.065 0.363 0.825
0.349 0.061 0.317
0.648 0.063 0.682
0.144 0.863 0.278
0.149 0.140 0.215
0.066 0.636 0.174
0.862 0.432 0.927
0.360 0.351 0.469
0.135 0.432 0.072
0.361 0.648 0.032
0.135 0.567 0.927
0.149 0.861 0.784
0.849 0.139 0.784
0.353 0.933 0.180
0.862 0.563 0.574
0.853 0.864 0.720
0.349 0.938 0.682
0.434 0.148 0.068
0.649 0.939 0.317
0.060 0.360 0.323
0.645 0.068 0.180
0.136 0.562 0.425
0.144 0.136 0.720
0.938 0.641 0.323
0.136 0.437 0.574
0.060 0.640 0.676
0.434 0.852 0.931
0.637 0.352 0.032
0.362 0.353 0.967
0.638 0.649 0.469
0.352 0.067 0.819
0.565 0.149 0.931
0.640 0.349 0.530
0.564 0.850 0.068
0.932 0.637 0.825
0.558 0.852 0.569
0.854 0.137 0.279
0.358 0.651 0.530
0.558 0.148 0.430
0.439 0.148 0.569
0.931 0.363 0.174
0.862 0.438 0.425
0.937 0.360 0.676
0.635 0.646 0.967
0.644 0.354 0.168
0.340 0.659 0.676
0.660 0.660 0.323
0.178 0.179 0.593
0.840 0.843 0.073
0.349 0.352 0.831
0.157 0.846 0.924
0.648 0.648 0.830
0.817 0.181 0.405
0.351 0.646 0.168
0.843 0.153 0.924
0.180 0.819 0.405
0.338 0.340 0.323
0.159 0.155 0.074
0.819 0.821 0.593
0.658 0.342 0.676
0.999 0.500 0.373
0.499 0.251 0.500
0.499 0.250 0.999
0.250 0.000 0.752
0.748 0.000 0.247
0.999 0.500 0.626
0.999 0.500 0.123
0.499 0.749 0.000
0.498 0.749 0.500
0.250 0.000 0.247
0.999 0.500 0.876
0.748 0.000 0.752
0.499 0.000 0.875
0.749 0.499 0.999
0.997 0.251 0.753
0.499 0.000 0.627
0.499 0.000 0.124
0.499 0.000 0.372
0.997 0.749 0.246
0.000 0.749 0.753
0.249 0.501 0.500
0.000 0.251 0.246
0.248 0.500 0.000
0.749 0.500 0.500
0.000 0.000 0.000
0.108 0.002 0.498
0.890 0.998 0.497
0.498 0.500 0.254
0.498 0.500 0.748
```

Summary:
The calculation puts the energy of formation at -2464 meV/atom. Its space group is P1, No. 1. The offset from the most stable computed form comes out at 0 meV/atom.

---

Entry 3:
Below is Ba6MgNb2IrCl2O12 after structural relaxation, with properties calculated at the PBE-GGA level.

POSCAR file:
```
Ba6MgNb2IrCl2O12
1.0
-4.220 4.460 -0.260
0.402 -3.867 4.760
8.974 11.147 6.145
Mg Ba O Cl Ir Nb
1 6 12 2 1 2
Direct
0.466 0.534 0.162
0.276 0.724 0.032
0.633 0.367 0.916
0.695 0.305 0.642
0.717 0.283 0.238
0.339 0.661 0.785
0.335 0.665 0.371
0.138 0.862 0.900
0.318 0.184 0.754
0.691 0.789 0.253
0.795 0.686 0.079
0.849 0.151 0.104
0.831 0.169 0.770
0.314 0.205 0.079
0.145 0.316 0.919
0.817 0.682 0.754
0.211 0.309 0.253
0.684 0.855 0.919
0.192 0.808 0.220
0.697 0.303 0.437